**Exercise**
Please set down the part of the calculation results underneath that starts with the line with "-2.114 -1.310" and stops after the one with "-1.581 -2.707".
**Excerpt**
........
No. 1
A structure of composition C22H20N5O3RhSSe2. Source: OMol25; level of theory: wB97M-V/def2-TZVPD.

Structure (XYZ):
```
54
Properties=species:S:1:pos:R:3:nbo_charge:R:1
Rh -0.222 -0.896 0.559 0.774
Se -0.748 -3.117 1.491 0.457
Se -2.114 -1.310 2.247 0.549
C -0.658 -0.499 3.241 0.026
C -0.657 -0.174 4.573 -0.211
C 0.445 0.544 5.041 -0.104
C 1.463 0.888 4.170 -0.204
C 1.377 0.512 2.834 0.093
N 0.324 -0.169 2.396 -0.429
C -1.410 -3.142 -0.345 0.028
C -2.068 -4.164 -0.975 -0.212
C -2.369 -3.970 -2.328 -0.106
C -2.004 -2.792 -2.950 -0.199
C -1.341 -1.807 -2.224 0.110
N -1.051 -2.000 -0.944 -0.433
H -1.477 -0.450 5.221 0.266
H 0.496 0.832 6.082 0.261
H 2.323 1.447 4.510 0.263
H 2.139 0.756 2.106 0.239
H -2.340 -5.070 -0.451 0.266
H -2.890 -4.742 -2.878 0.262
H -2.231 -2.620 -3.992 0.264
H -1.044 -0.862 -2.657 0.241
O 0.732 1.736 -1.726 -0.616
C -0.293 1.874 -1.070 0.671
N -0.663 1.074 -0.016 -0.883
S -2.276 1.359 0.370 2.290
O -2.406 1.544 1.794 -0.934
O -3.074 0.309 -0.217 -0.943
C -2.415 2.834 -0.547 -0.345
C -3.462 3.731 -0.593 -0.152
C -3.318 4.802 -1.468 -0.159
C -2.176 4.948 -2.251 -0.165
C -1.135 4.030 -2.185 -0.170
C -1.273 2.965 -1.313 -0.076
H -4.347 3.610 0.015 0.250
H -4.110 5.535 -1.541 0.245
H -2.099 5.794 -2.920 0.244
H -0.241 4.137 -2.785 0.250
C 4.402 0.554 -1.927 -0.657
C 3.551 -0.356 -1.111 0.234
C 3.838 -1.555 -0.478 -0.323
C 2.656 -1.978 0.123 0.193
N 1.692 -1.070 -0.127 -0.311
N 2.264 -0.096 -0.871 -0.339
C 2.489 -3.231 0.912 -0.650
H 5.359 0.081 -2.133 0.251
H 4.590 1.488 -1.397 0.247
H 3.921 0.793 -2.874 0.247
H 4.782 -2.071 -0.463 0.254
H 1.669 0.666 -1.262 0.445
H 3.435 -3.767 0.927 0.263
H 1.756 -3.902 0.458 0.216
H 2.209 -3.034 1.947 0.224
```

* net charge: +2
* HOMO level: -14.77 eV
* relative energy (zero: lowest compared OMol25 entry of this formula, charge and spin): 1.3 kcal per mole
* LUMO: -8.0 eV
* M: 695.3 g mol⁻¹
* Kohn-Sham gap: 0.249 hartree
* largest force on an atom: 1.0 eV/Å


No. 2
A structure of composition C22H20N5O4S2V. Source: OMol25; level of theory: wB97M-V/def2-TZVPD.

Structure (XYZ):
```
54
Properties=species:S:1:pos:R:3:nbo_charge:R:1
V 0.416 -1.290 -0.632 1.129
S 2.445 -2.222 -1.036 -0.181
C 2.834 -1.950 0.694 0.234
N 4.078 -1.702 0.978 -0.373
N 4.280 -1.259 2.293 -0.469
C 3.860 0.000 2.696 0.259
C 3.031 0.817 1.919 -0.307
C 2.607 2.044 2.401 -0.177
C 3.003 2.502 3.651 -0.285
C 3.844 1.705 4.416 -0.205
C 4.267 0.471 3.952 -0.301
N 1.845 -1.952 1.624 -0.380
N 0.619 -1.906 1.122 -0.298
C -0.397 -2.071 2.096 0.205
C -0.228 -1.563 3.383 -0.238
C -1.251 -1.700 4.306 -0.202
C -2.437 -2.337 3.959 -0.233
C -2.597 -2.838 2.676 -0.212
C -1.581 -2.707 1.742 -0.223
H 5.215 -1.491 2.578 0.366
H 2.712 0.503 0.937 0.237
H 1.952 2.640 1.777 0.225
H 2.661 3.460 4.022 0.199
H 4.171 2.039 5.395 0.196
H 4.903 -0.154 4.570 0.195
H 0.699 -1.065 3.630 0.248
H -1.123 -1.298 5.304 0.205
H -3.232 -2.439 4.687 0.202
H -3.518 -3.333 2.395 0.208
H -1.698 -3.095 0.738 0.225
C -1.979 2.763 -6.425 -0.629
C -1.998 1.745 -5.318 0.000
C -3.186 1.160 -4.900 -0.224
C -3.196 0.219 -3.879 -0.164
C -2.006 -0.144 -3.275 -0.380
C -0.805 0.429 -3.679 -0.111
C -0.809 1.366 -4.694 -0.211
S -2.025 -1.272 -1.909 2.321
O -3.293 -1.942 -1.929 -0.935
O -0.830 -2.161 -2.087 -0.946
N -1.607 -0.527 -0.613 -0.982
C -1.678 0.904 -0.418 -0.344
C -0.264 1.506 -0.404 0.785
O -0.111 2.709 -0.346 -0.638
O 0.702 0.628 -0.475 -0.762
H -2.989 3.052 -6.713 0.211
H -1.477 2.366 -7.309 0.220
H -1.441 3.661 -6.119 0.223
H -4.118 1.446 -5.372 0.207
H -4.120 -0.241 -3.552 0.241
H 0.128 0.152 -3.203 0.218
H 0.127 1.818 -5.001 0.215
H -2.151 1.138 0.539 0.224
H -2.256 1.418 -1.191 0.213
```

* net charge: -1
* HOMO level (alpha / beta): -3.95 / -3.84 eV
* LUMO (alpha / beta): 2.4 / 2.4 eV
* M: 533.5 g mol⁻¹
* multiplicity: 2
* Kohn-Sham gap (alpha / beta): 0.233 / 0.229 hartree
* largest force on an atom: 0.7 eV/Å


No. 3
A structure of composition C22H20N6O3RuS. Source: OMol25; level of theory: wB97M-V/def2-TZVPD.

Structure (XYZ):
```
53
........
**Written answer**
Se -2.114 -1.310 2.247 0.549
C -0.658 -0.499 3.241 0.026
C -0.657 -0.174 4.573 -0.211
C 0.445 0.544 5.041 -0.104
C 1.463 0.888 4.170 -0.204
C 1.377 0.512 2.834 0.093
N 0.324 -0.169 2.396 -0.429
C -1.410 -3.142 -0.345 0.028
C -2.068 -4.164 -0.975 -0.212
C -2.369 -3.970 -2.328 -0.106
C -2.004 -2.792 -2.950 -0.199
C -1.341 -1.807 -2.224 0.110
N -1.051 -2.000 -0.944 -0.433
H -1.477 -0.450 5.221 0.266
H 0.496 0.832 6.082 0.261
H 2.323 1.447 4.510 0.263
H 2.139 0.756 2.106 0.239
H -2.340 -5.070 -0.451 0.266
H -2.890 -4.742 -2.878 0.262
H -2.231 -2.620 -3.992 0.264
H -1.044 -0.862 -2.657 0.241
O 0.732 1.736 -1.726 -0.616
C -0.293 1.874 -1.070 0.671
N -0.663 1.074 -0.016 -0.883
S -2.276 1.359 0.370 2.290
O -2.406 1.544 1.794 -0.934
O -3.074 0.309 -0.217 -0.943
C -2.415 2.834 -0.547 -0.345
C -3.462 3.731 -0.593 -0.152
C -3.318 4.802 -1.468 -0.159
C -2.176 4.948 -2.251 -0.165
C -1.135 4.030 -2.185 -0.170
C -1.273 2.965 -1.313 -0.076
H -4.347 3.610 0.015 0.250
H -4.110 5.535 -1.541 0.245
H -2.099 5.794 -2.920 0.244
H -0.241 4.137 -2.785 0.250
C 4.402 0.554 -1.927 -0.657
C 3.551 -0.356 -1.111 0.234
C 3.838 -1.555 -0.478 -0.323
C 2.656 -1.978 0.123 0.193
N 1.692 -1.070 -0.127 -0.311
N 2.264 -0.096 -0.871 -0.339
C 2.489 -3.231 0.912 -0.650
H 5.359 0.081 -2.133 0.251
H 4.590 1.488 -1.397 0.247
H 3.921 0.793 -2.874 0.247
H 4.782 -2.071 -0.463 0.254
H 1.669 0.666 -1.262 0.445
H 3.435 -3.767 0.927 0.263
H 1.756 -3.902 0.458 0.216
H 2.209 -3.034 1.947 0.224
```

* net charge: +2
* HOMO level: -14.77 eV
* relative energy (zero: lowest compared OMol25 entry of this formula, charge and spin): 1.3 kcal per mole
* LUMO: -8.0 eV
* M: 695.3 g mol⁻¹
* Kohn-Sham gap: 0.249 hartree
* largest force on an atom: 1.0 eV/Å


No. 2
A structure of composition C22H20N5O4S2V. Source: OMol25; level of theory: wB97M-V/def2-TZVPD.

Structure (XYZ):
```
54
Properties=species:S:1:pos:R:3:nbo_charge:R:1
V 0.416 -1.290 -0.632 1.129
S 2.445 -2.222 -1.036 -0.181
C 2.834 -1.950 0.694 0.234
N 4.078 -1.702 0.978 -0.373
N 4.280 -1.259 2.293 -0.469
C 3.860 0.000 2.696 0.259
C 3.031 0.817 1.919 -0.307
C 2.607 2.044 2.401 -0.177
C 3.003 2.502 3.651 -0.285
C 3.844 1.705 4.416 -0.205
C 4.267 0.471 3.952 -0.301
N 1.845 -1.952 1.624 -0.380
N 0.619 -1.906 1.122 -0.298
C -0.397 -2.071 2.096 0.205
C -0.228 -1.563 3.383 -0.238
C -1.251 -1.700 4.306 -0.202
C -2.437 -2.337 3.959 -0.233
C -2.597 -2.838 2.676 -0.212
C -1.581 -2.707 1.742 -0.223